• Source:
........
The following is a quantum chemistry calculation of a 8-piece molecular cluster, C3H23NO8S2 overall at a distorted geometry, from the Open Molecules 2025 dataset.

The LUMO energy comes out at 0.2 eV. Its charge is 0. Its total energy is -43023.4516 eV. The calculation puts the maximum force at 3.52 eV/Å. For the HOMO energy, the calculation gives -8.93 eV. Its SMILES is N[C@@H](CO)CSS.O.O.O.O.O.O.O. For the energy above the lowest of the compared OMol25 structures with the same formula, charge and spin, the calculation gives 0.610 eV. Its frontier orbital gap is 9.121 eV.

Last columns: bonded neighbours and bond lengths (Å).
Atoms and positions in Å:
1 H -2.6609 -0.6900 0.8301  O31 0.965
2 H -2.9569 1.1473 -0.2402  O5 0.961
3 O 1.4628 2.9654 -1.2554  H32 0.962, H36 0.960
4 H -0.6952 1.7349 -2.5010  O18 0.968
5 O -2.9124 1.9482 -0.7685  H2 0.961, H20 0.961
6 H -1.8416 2.4857 -2.0657  O18 0.981
7 S 0.6071 -2.6371 -3.0011  C12 1.830, S37 1.993
8 H 0.7979 -0.4209 -0.9618  C11 1.093
9 H 1.8804 -0.0039 3.0815  O34 0.970
10 H 0.6516 2.0366 0.8418  O16 0.959
11 C 1.0551 -1.3657 -0.4755  H8 1.093, C12 1.518, C19 1.564, N28 1.436
12 C 1.5867 -2.3738 -1.4777  S7 1.830, C11 1.518, H27 1.099, H29 1.099
13 H -0.8363 -1.7685 0.4532  N28 1.005
14 O -1.9252 0.2978 2.9039  H26 0.952, H30 0.957
15 H 1.0825 -0.3521 4.1921  O34 0.970
16 O -0.2326 2.0052 0.4728  H10 0.959, H33 0.950
17 H -1.9653 -2.3904 -2.6723  S37 1.360
18 O -1.0903 2.5989 -2.6868  H4 0.968, H6 0.981
19 C 2.1982 -0.8499 0.4588  C11 1.564, H21 1.090, H25 1.099, O35 1.448
20 H -2.8703 2.6943 -0.1647  O5 0.961
21 H 2.0043 -0.0640 1.1895  C19 1.090
22 H -3.7953 -1.4032 1.4269  O31 0.965
23 H 0.2450 -2.8828 0.8890  N28 1.001
24 H 3.4638 0.1048 -0.7249  O35 0.954
25 H 2.5257 -1.6825 1.0970  C19 1.099
26 H -1.9217 0.7915 3.7178  O14 0.952
27 H 2.6153 -2.1912 -1.8191  C12 1.099
28 N 0.1423 -1.9953 0.4369  C11 1.436, H13 1.005, H23 1.001
29 H 1.8789 -3.3266 -1.0137  C12 1.099
30 H -1.0635 0.2284 2.4931  O14 0.957
31 O -3.2817 -1.3955 0.6101  H1 0.965, H22 0.965
32 H 1.1293 2.7932 -2.1408  O3 0.962
33 H -0.1461 1.9582 -0.4723  O16 0.950
34 O 1.3620 0.4665 3.7530  H9 0.970, H15 0.970
35 O 3.4446 -0.7323 -0.2684  C19 1.448, H24 0.954
36 H 1.1042 3.8024 -0.9529  O3 0.960
37 S -1.0422 -1.5334 -3.1848  S7 1.993, H17 1.360
........

• Wanted:
Filter the listing earlier on: keep the lines with the word "force".

• Response:
The LUMO energy comes out at 0.2 eV. Its charge is 0. Its total energy is -43023.4516 eV. The calculation puts the maximum force at 3.52 eV/Å. For the HOMO energy, the calculation gives -8.93 eV. Its SMILES is N[C@@H](CO)CSS.O.O.O.O.O.O.O. For the energy above the lowest of the compared OMol25 structures with the same formula, charge and spin, the calculation gives 0.610 eV. Its frontier orbital gap is 9.121 eV.